-- Wanted --
The reader should repeat only the last part of the listing below, starting with the line that has "first,".

-- Entries --
~~~
This entry pairs a crystal structure of CaMg6CdO8 with its simulated X-ray powder pattern. Radiation: a wavelength of 1.5418 Å. Structure: the PBE geometry in the Materials Project.

Structural model:
```
CaMg6CdO8
1.0
4.4581 0.0000 0.0000
0.0000 4.4581 0.0000
0.0000 0.0000 8.8029
Ca Mg Cd O
1 6 1 8
Direct
0.0000 0.0000 0.0000 Ca
0.0000 0.0000 0.5000 Mg
0.0000 0.5000 0.2628 Mg
0.0000 0.5000 0.7372 Mg
0.5000 0.0000 0.2628 Mg
0.5000 0.0000 0.7372 Mg
0.5000 0.5000 0.5000 Mg
0.5000 0.5000 0.0000 Cd
0.0000 0.0000 0.2652 O
0.0000 0.0000 0.7348 O
0.0000 0.5000 0.0000 O
0.0000 0.5000 0.5000 O
0.5000 0.0000 0.0000 O
0.5000 0.0000 0.5000 O
0.5000 0.5000 0.2678 O
0.5000 0.5000 0.7322 O
```

Peak list (10 most intense, 10° ≤ 2θ ≤ 80°, sorted by position)
10.0 deg, I 58.1; 20.2 deg, I 18.7; 22.4 deg, I 24.8; 30.1 deg, I 26.9; 35.0 deg, I 49.7; 40.5 deg, I 100.0; 41.0 deg, I 45.6; 58.6 deg, I 29.4; 59.0 deg, I 54.7; 74.0 deg, I 25.5

~~~~~

# Li2FeSi4O10
Calculated powder XRD pattern, Cu Kα. Input: a cell relaxed with GGA+U.

Largest 10 diffraction maxima, most intense first, 5 to 70 degrees two-theta:
Position (°2θ)  d (Å)  I (rel.)  index
23.31  3.816  100  1 2 1
13.44  6.587  51  0 1 0
28.67  3.113  42  0 1 3
19.81  4.481  33  0 0 2
17.72  5.004  29  1 0 -1
30.67  2.915  28  2 2 0
17.11  5.183  26  1 0 1
30.16  2.963  23  2 1 -1
28.24  3.160  21  -1 1 2
39.05  2.307  19  0 3 1

Atomic structure:
a b c (Å): 6.8819 7.7136 9.6141
angles (deg): 68.88 79.11 64.09
Element x y z (fractional)
Li 0.1124 0.2041 0.3988
Li 0.3321 0.3061 0.9608
Li 0.6679 0.6939 0.0392
Li 0.8876 0.7959 0.6012
Fe 0.4178 0.8015 0.5757
Fe 0.5822 0.1985 0.4243
Si 0.0934 0.7709 0.8562
Si 0.2179 0.5676 0.1827
Si 0.2270 0.1313 0.7389
Si 0.3294 0.9005 0.2222
Si 0.6706 0.0995 0.7778
Si 0.7730 0.8687 0.2611
Si 0.7821 0.4324 0.8173
Si 0.9066 0.2291 0.1438
O 0.0227 0.3456 0.7393
O 0.1645 0.9471 0.8556
O 0.1670 0.7021 0.7103
O 0.1767 0.1319 0.1135
O 0.1914 0.5754 0.0100
O 0.2564 0.8857 0.3919
O 0.3003 0.1100 0.5751
O 0.3368 0.7215 0.1620
O 0.3494 0.3370 0.2758
O 0.4185 0.1259 0.8244
O 0.5815 0.8741 0.1756
O 0.6506 0.6630 0.7242
O 0.6632 0.2785 0.8380
O 0.6997 0.8900 0.4249
O 0.7436 0.1143 0.6081
O 0.8086 0.4246 0.9900
O 0.8233 0.8681 0.8865
O 0.8330 0.2979 0.2897
O 0.8355 0.0529 0.1444
O 0.9773 0.6544 0.2607

~~~~~

1.
This entry pairs a crystal structure of Ce2HgRuAu with its theoretical powder diffraction line list. Radiation: a wavelength of 1.5418 Å. Structure: DFT lattice parameters and positions (GGA-PBE).
Intensities are scaled so that the largest is 100.

Principal peaks in the range 15 to 90 degrees two-theta, by angle:
(hkl)  Position (°2θ)  I/Imax
1 1 1  28.19  40
0 1 2  31.17  72
2 1 0  32.49  27
2 1 -2  34.22  100
0 2 0  35.24  79
2 1 1  38.93  77

Cell and atoms:
```
data_Ce2HgRuAu
_space_group_name_H-M_alt 'P 1 21/m 1'
_space_group_IT_number 11
_cell_length_a 7.125
_cell_length_b 5.093
_cell_length_c 7.553
_cell_angle_alpha 90.00
_cell_angle_beta 113.11
_cell_angle_gamma 90.00
loop_
_space_group_symop_operation_xyz
'x,y,z'
'-x,-y,-z'
'-x,y+1/2,-z'
'x,-y+1/2,z'
loop_
_atom_site_label
_atom_site_type_symbol
_atom_site_fract_x
_atom_site_fract_y
_atom_site_fract_z
Ce1 Ce 0.189 0.250 0.358
Ce2 Ce 0.271 0.250 0.924
Hg1 Hg 0.304 0.750 0.649
Ru1 Ru 0.034 0.750 0.042
Au1 Au 0.436 0.750 0.268
```



2.
This entry pairs a crystal structure of Tl3Cd2Ga9 with its theoretical powder diffraction line list. Radiation: a wavelength of 1.5418 Å. Structure: DFT lattice parameters and positions (GGA-PBE).
Intensities are scaled so that the largest is 100.

Principal peaks in the range 15 to 90 degrees two-theta, by angle:
(hkl)  Position (°2θ)  I/Imax
0 3 3  31.91  26
1 3 0  32.72  20
1 2 3  33.02  100
1 3 2  35.26  18
0 0 6  39.01  23
2 0 0  41.71  25

Cell and atoms:
```
data_Tl3Cd2Ga9
_space_group_name_H-M_alt 'I m m m'
_space_group_IT_number 71
_space_group_name_Hall '-I 2 2'
_cell_length_a 4.331
_cell_length_b 10.592
_cell_length_c 13.853
_cell_angle_alpha 90.00
~~~

-- Reply --
Largest 10 diffraction maxima, most intense first, 5 to 70 degrees two-theta:
Position (°2θ)  d (Å)  I (rel.)  index
23.31  3.816  100  1 2 1
13.44  6.587  51  0 1 0
28.67  3.113  42  0 1 3
19.81  4.481  33  0 0 2
17.72  5.004  29  1 0 -1
30.67  2.915  28  2 2 0
17.11  5.183  26  1 0 1
30.16  2.963  23  2 1 -1
28.24  3.160  21  -1 1 2
39.05  2.307  19  0 3 1

Atomic structure:
a b c (Å): 6.8819 7.7136 9.6141
angles (deg): 68.88 79.11 64.09
Element x y z (fractional)
Li 0.1124 0.2041 0.3988
Li 0.3321 0.3061 0.9608
Li 0.6679 0.6939 0.0392
Li 0.8876 0.7959 0.6012
Fe 0.4178 0.8015 0.5757
Fe 0.5822 0.1985 0.4243
Si 0.0934 0.7709 0.8562
Si 0.2179 0.5676 0.1827
Si 0.2270 0.1313 0.7389
Si 0.3294 0.9005 0.2222
Si 0.6706 0.0995 0.7778
Si 0.7730 0.8687 0.2611
Si 0.7821 0.4324 0.8173
Si 0.9066 0.2291 0.1438
O 0.0227 0.3456 0.7393
O 0.1645 0.9471 0.8556
O 0.1670 0.7021 0.7103
O 0.1767 0.1319 0.1135
O 0.1914 0.5754 0.0100
O 0.2564 0.8857 0.3919
O 0.3003 0.1100 0.5751
O 0.3368 0.7215 0.1620
O 0.3494 0.3370 0.2758
O 0.4185 0.1259 0.8244
O 0.5815 0.8741 0.1756
O 0.6506 0.6630 0.7242
O 0.6632 0.2785 0.8380
O 0.6997 0.8900 0.4249
O 0.7436 0.1143 0.6081
O 0.8086 0.4246 0.9900
O 0.8233 0.8681 0.8865
O 0.8330 0.2979 0.2897
O 0.8355 0.0529 0.1444
O 0.9773 0.6544 0.2607

~~~~~

1.
This entry pairs a crystal structure of Ce2HgRuAu with its theoretical powder diffraction line list. Radiation: a wavelength of 1.5418 Å. Structure: DFT lattice parameters and positions (GGA-PBE).
Intensities are scaled so that the largest is 100.

Principal peaks in the range 15 to 90 degrees two-theta, by angle:
(hkl)  Position (°2θ)  I/Imax
1 1 1  28.19  40
0 1 2  31.17  72
2 1 0  32.49  27
2 1 -2  34.22  100
0 2 0  35.24  79
2 1 1  38.93  77

Cell and atoms:
```
data_Ce2HgRuAu
_space_group_name_H-M_alt 'P 1 21/m 1'
_space_group_IT_number 11
_cell_length_a 7.125
_cell_length_b 5.093
_cell_length_c 7.553
_cell_angle_alpha 90.00
_cell_angle_beta 113.11
_cell_angle_gamma 90.00
loop_
_space_group_symop_operation_xyz
'x,y,z'
'-x,-y,-z'
'-x,y+1/2,-z'
'x,-y+1/2,z'
loop_
_atom_site_label
_atom_site_type_symbol
_atom_site_fract_x
_atom_site_fract_y
_atom_site_fract_z
Ce1 Ce 0.189 0.250 0.358
Ce2 Ce 0.271 0.250 0.924
Hg1 Hg 0.304 0.750 0.649
Ru1 Ru 0.034 0.750 0.042
Au1 Au 0.436 0.750 0.268
```



2.
This entry pairs a crystal structure of Tl3Cd2Ga9 with its theoretical powder diffraction line list. Radiation: a wavelength of 1.5418 Å. Structure: DFT lattice parameters and positions (GGA-PBE).
Intensities are scaled so that the largest is 100.

Principal peaks in the range 15 to 90 degrees two-theta, by angle:
(hkl)  Position (°2θ)  I/Imax
0 3 3  31.91  26
1 3 0  32.72  20
1 2 3  33.02  100
1 3 2  35.26  18
0 0 6  39.01  23
2 0 0  41.71  25

Cell and atoms:
```
data_Tl3Cd2Ga9
_space_group_name_H-M_alt 'I m m m'
_space_group_IT_number 71
_space_group_name_Hall '-I 2 2'
_cell_length_a 4.331
_cell_length_b 10.592
_cell_length_c 13.853
_cell_angle_alpha 90.00